_Exercise_
Count the lines further down that contain the word "angles" and give the number alone, please.

_Excerpt_
~~~
Fe4Te2C11O11: optimized geometry, GGA+U.

Lattice parameters (Å, degrees): 6.9057 15.9008 17.4965 90.00 90.00 90.00
Sites, in units of the cell vectors:
1 Fe 0.1743 0.1659 0.1913
2 Fe 0.1743 0.3341 0.6913
3 Fe 0.1815 0.1750 0.3454
4 Fe 0.1815 0.3250 0.8454
5 Fe 0.3185 0.1750 0.8454
6 Fe 0.3185 0.3250 0.3454
7 Fe 0.3257 0.1659 0.6913
8 Fe 0.3257 0.3341 0.1913
9 Fe 0.6743 0.6659 0.8087
10 Fe 0.6743 0.8341 0.3087
11 Fe 0.6815 0.6750 0.6546
12 Fe 0.6815 0.8250 0.1546
13 Fe 0.8185 0.6750 0.1546
14 Fe 0.8185 0.8250 0.6546
15 Fe 0.8257 0.6659 0.3087
16 Fe 0.8257 0.8341 0.8087
17 Te 0.0110 0.2092 0.7610
18 Te 0.0110 0.2908 0.2610
19 Te 0.4890 0.2092 0.2610
20 Te 0.4890 0.2908 0.7610
21 Te 0.5110 0.7092 0.2390
22 Te 0.5110 0.7908 0.7390
23 Te 0.9890 0.7092 0.7390
24 Te 0.9890 0.7908 0.2390
25 C 0.0205 0.6694 0.3761
26 C 0.0205 0.8306 0.8761
27 C 0.0449 0.6452 0.1124
28 C 0.0449 0.8548 0.6124
29 C 0.0987 0.0740 0.2406
30 C 0.0987 0.4260 0.7406
31 C 0.1744 0.1148 0.6223
32 C 0.1744 0.3852 0.1223
33 C 0.2007 0.0875 0.8902
34 C 0.2007 0.4125 0.3902
35 C 0.2500 0.2500 0.4275
36 C 0.2500 0.2500 0.9275
37 C 0.2993 0.0875 0.3902
38 C 0.2993 0.4125 0.8902
39 C 0.3256 0.1148 0.1223
40 C 0.3256 0.3852 0.6223
41 C 0.4013 0.0740 0.7406
42 C 0.4013 0.4260 0.2406
43 C 0.4551 0.6452 0.6124
44 C 0.4551 0.8548 0.1124
45 C 0.4795 0.6694 0.8761
46 C 0.4795 0.8306 0.3761
47 C 0.5205 0.1694 0.6239
48 C 0.5205 0.3306 0.1239
49 C 0.5449 0.1452 0.8876
50 C 0.5449 0.3548 0.3876
51 C 0.5987 0.5740 0.7594
52 C 0.5987 0.9260 0.2594
53 C 0.6744 0.6148 0.3777
54 C 0.6744 0.8852 0.8777
55 C 0.7007 0.5875 0.1098
56 C 0.7007 0.9125 0.6098
57 C 0.7500 0.7500 0.0725
58 C 0.7500 0.7500 0.5725
59 C 0.7993 0.5875 0.6098
60 C 0.7993 0.9125 0.1098
61 C 0.8256 0.6148 0.8777
62 C 0.8256 0.8852 0.3777
63 C 0.9013 0.5740 0.2594
64 C 0.9013 0.9260 0.7594
65 C 0.9551 0.1452 0.3876
66 C 0.9551 0.3548 0.8876
67 C 0.9795 0.1694 0.1239
68 C 0.9795 0.3306 0.6239
69 O 0.0435 0.0058 0.2541
70 O 0.0435 0.4942 0.7541
71 O 0.0807 0.0802 0.5772
72 O 0.0807 0.4198 0.0772
73 O 0.1260 0.0317 0.9208
74 O 0.1260 0.4683 0.4208
75 O 0.1457 0.6688 0.4203
76 O 0.1457 0.8312 0.9203
77 O 0.1907 0.6267 0.0841
78 O 0.1907 0.8733 0.5841
79 O 0.2500 0.2500 0.4954
80 O 0.2500 0.2500 0.9954
81 O 0.3093 0.6267 0.5841
82 O 0.3093 0.8733 0.0841
83 O 0.3543 0.6688 0.9203
84 O 0.3543 0.8312 0.4203
85 O 0.3740 0.0317 0.4208
86 O 0.3740 0.4683 0.9208
87 O 0.4193 0.0802 0.0772
88 O 0.4193 0.4198 0.5772
89 O 0.4565 0.0058 0.7541
90 O 0.4565 0.4942 0.2541
91 O 0.5435 0.5058 0.7459
92 O 0.5435 0.9942 0.2459
93 O 0.5807 0.5802 0.4228
94 O 0.5807 0.9198 0.9228
95 O 0.6260 0.5317 0.0792
96 O 0.6260 0.9683 0.5792
97 O 0.6457 0.1688 0.5797
98 O 0.6457 0.3312 0.0797
99 O 0.6907 0.1267 0.9159
100 O 0.6907 0.3733 0.4159
101 O 0.7500 0.7500 0.0046
102 O 0.7500 0.7500 0.5046
103 O 0.8093 0.1267 0.4159
104 O 0.8093 0.3733 0.9159
105 O 0.8543 0.1688 0.0797
106 O 0.8543 0.3312 0.5797
107 O 0.8740 0.5317 0.5792
108 O 0.8740 0.9683 0.0792
109 O 0.9193 0.5802 0.9228
110 O 0.9193 0.9198 0.4228
111 O 0.9565 0.5058 0.2459
112 O 0.9565 0.9942 0.7459

## Properties
Symmetry: Pccn
Formation enthalpy at 0 K (meV per atom): -396

* * * * *

(a)
Hg2TeSe: relaxed, PBE-GGA.

Properties
SG: R-3m

a b c (Å): 7.3243 7.3243 7.3243
angles (deg): 33.53 33.53 33.53
Fractional positions:
Hg: 0.2453 0.2453 0.2453
Hg: 0.7547 0.7547 0.7547
Te: 0.0000 0.0000 0.0000
Se: 0.5000 0.5000 0.5000

=====

(b)
Hg2TeSe: relaxed, PBE-GGA.

Properties
SG: R3m

a b c (Å): 7.9122 7.9122 7.9122
angles (deg): 33.64 33.64 33.64
Fractional positions:
Te: 0.6245 0.6245 0.6245
Hg: 0.4959 0.4959 0.4959
Hg: 0.0044 0.0044 0.0044
Se: 0.1252 0.1252 0.1252

=====

The structure with the least stability is (a).

=====

(a)
Sm3Hg: relaxed, PBE-GGA.

Properties
SG: I4/mmm

a b c (Å): 6.0859 6.0859 6.0859
angles (deg): 133.49 133.49 67.89
Fractional positions:
Sm: 0.5000 0.5000 0.0000
Sm: 0.7500 0.2500 0.5000
Sm: 0.2500 0.7500 0.5000
Hg: 0.0000 0.0000 0.0000

=====

(b)
~~~

_Written answer_
3